Falls Prevention Tai Chi
Falls Prevention Tai Chi is rated number one best exercise for preventing falls. Through medical research and trials, it is proven to be very effective. As technology continues to grow and the population begins to age with medicine rapidly improving, the life expectancy has increased however people are in pain and are at the risk of falls. Falls is related to the loss of balance and stability in the body when conducting simple acts such as walking, climbing the stairs, sitting on a chair, getting up or even getting out of the car. Falls are one of the highest risk factors of damaging the bones due to old age resulting in fractures or broken bones. This can cause a person to lose confidence and independence due to the fear and trauma experienced by the individual.
Tai Chi is an exercise where balance and stability are the basics and foundations of learning to keep the body relaxed with an upright posture. Tai Chi based programs have, through medical research, proven to be a particularly effective falls intervention. It is for this reason The Australian Academy of Tai Chi & Qigong has developed an Applied Tai Chi Program that addresses specific aspects of balance and stability.

There are several Falls Prevention Tai Chi specific focuses, on the key aspects below; and the teaching methodology being employed, makes these programs a very effective tool in balance and stability training.
Core Stabilising Muscles
Proper functioning of internal abdominal muscles and neutral alignment of the spine when performing tasks is a key component to good balance. AATC’S training methodology allows the ‘Local’ Core Stabilising Muscles to be activated through a combination of exercises and the use of Dynamic Relaxation techniques.
Rather than just postural alignment when static, AATC programs relate to energies pertaining to posture during movement. E.g. energy passing through the knee evenly; the order of muscles firing and control of the pelvic area. Excessive postural tension, kinaesthetic awareness and general motor-skill patterns are all addressed in this system of training.
Breathing – Abdominal and Reverse Abdominal
Abdominal breathing works directly with the autonomic nervous system and plays a key role in dynamic relaxation. The breathing techniques trigger the relaxation response within the nervous system. The lung diaphragm is activated, and with more training, the pelvic floor is also focused on. As one relaxes through abdominal breathing techniques the centre of gravity is restored to the lower abdomen instead of being incorrectly held higher in the body.
Fear Factor
Dynamic relaxation combined with physical training techniques alleviates the fear factor. The fear of falling is a major issue when dealing with high risk of falls groups.
Other Aspects
The biomechanical techniques being employed in tai chi training build muscular strength and physical stamina. Base of balance and state of mind are also issues, that are addressed in this comprehensive program.

Booking programs, courses or classes,
Misplaced data records >
┌──
For TeMoWSeS2, a crystal structure in the Materials Project, relaxed with GGA-PBE gives the calculated PXRD pattern in this record (a wavelength of 1.5418 Å).
Neutral-atom scattering factors, no anomalous dispersion.

Structural model:
abc: 3.3062 3.3062 37.6412
angles: 90.00 90.00 120.00
Space group P3m1 (No. 156)
Symmetry-distinct sites (fractional):
Te 0.0000 0.0000 0.0000 [1 per cell]
Te 0.0000 0.0000 0.1016 [1 per cell]
Mo 0.0000 0.0000 0.4872 [1 per cell]
Mo 0.3333 0.6667 0.0508 [1 per cell]
W 0.0000 0.0000 0.8629 [1 per cell]
W 0.3333 0.6667 0.6750 [1 per cell]
Se 0.0000 0.0000 0.6302 [1 per cell]
Se 0.0000 0.0000 0.7199 [1 per cell]
S 0.3333 0.6667 0.4466 [1 per cell]
S 0.3333 0.6667 0.5278 [1 per cell]
S 0.3333 0.6667 0.8221 [1 per cell]
S 0.3333 0.6667 0.9036 [1 per cell]

Main lines, low angle first (2θ from 5° to 70°):
(hkl), d/Å, 2θ (°), I_rel
0 0 3, 12.547, 7.05, 27
0 0 5, 7.528, 11.76, 100
0 0 6, 6.274, 14.12, 27
1 0 0, 2.861, 31.26, 44
1 0 5, 2.676, 33.48, 13
0 1 8, 2.446, 36.74, 76
0 1 9, 2.363, 38.09, 11
1 0 13, 2.036, 44.50, 40
0 1 14, 1.960, 46.32, 16
1 1 0, 1.653, 55.61, 26
1 1 5, 1.615, 57.04, 11
2 0 8, 1.370, 68.51, 12

~~~~~

Computed powder diffraction line list
Compound: SnI
Radiation: Cu Kα X-rays
Structure: a structure optimized by DFT (GGA-PBE)
Intensities are scaled so that the largest is 100.

Largest 6 diffraction maxima, sorted by position, 2θ = 10–80°:
two_theta	I (rel.)	(hkl)
22.5	100	1 0 1
28.6	56	1 2 1
29.8	65	0 3 1
35.9	33	2 0 0
42.8	48	1 3 2
47.3	36	2 3 1

```
data_SnI
_cell_length_a 5.004
_cell_length_b 10.158
_cell_length_c 6.428
_cell_angle_alpha 90.00
_cell_angle_beta 90.00
_cell_angle_gamma 90.00
_symmetry_space_group_name_H-M 'I m m 2'
_symmetry_Int_Tables_number 44
_symmetry_space_group_name_Hall 'I 2 -2'
loop_
_atom_site_label
_atom_site_type_symbol
_atom_site_fract_x
_atom_site_fract_y
_atom_site_fract_z
Sn1 Sn 0.000 0.000 0.000
Sn2 Sn 0.000 0.500 0.237
I1 I 0.000 0.194 0.340
```

Computed powder diffraction line list
Compound: Li2Ge4O9
Radiation: Cu Kα X-rays
Structure: a structure optimized by DFT (GGA-PBE)
Intensities are scaled so that the largest is 100.

Largest 6 diffraction maxima, sorted by position, 2θ = 10–80°:
two_theta	I (rel.)	(hkl)
14.4	85	2 0 1
18.9	80	0 1 0
21.8	100	2 0 2
30.7	87	4 1 1
34.9	84	4 1 2
36.1	95	2 1 3

```
data_Li2Ge4O9
_cell_length_a 16.123
_cell_length_b 4.696
_cell_length_c 9.455
_cell_angle_alpha 90.00
_cell_angle_beta 90.00
_cell_angle_gamma 90.00
_symmetry_space_group_name_H-M 'P c a 21'
_symmetry_Int_Tables_number 29
_symmetry_space_group_name_Hall 'P 2c -2ac'
loop_
_atom_site_label
_atom_site_type_symbol
_atom_site_fract_x
_atom_site_fract_y
_atom_site_fract_z
Li1 Li 0.019 0.096 0.000
Li2 Li 0.233 0.940 0.810
Ge1 Ge 0.094 0.475 0.330
Ge2 Ge 0.099 0.498 0.750
Ge3 Ge 0.156 0.982 0.540
Ge4 Ge 0.204 0.487 0.042
O1 O 0.004 0.344 0.817
O2 O 0.069 0.754 0.623
O3 O 0.071 0.199 0.452
O4 O 0.125 0.344 0.158
O5 O 0.145 0.666 0.904
O6 O 0.161 0.206 0.706
└──
contact us:
(Between two parts of the article: records of crystals)
1.
Diffraction record for Na2PtBr5. The PXRD pattern is simulated, not measured: it uses a DFT-relaxed cell (GGA-PBE, Alexandria) and CuKα.
Peak positions follow from Bragg's law for the DFT cell and can differ from measured ones.

Top 10 peaks for 5 to 70 degrees two-theta, sorted by position:
| 2θ (°) | I_rel |
| --- | --- |
| 12.9 | 51 |
| 13.7 | 41 |
| 14.6 | 53 |
| 16.9 | 34 |
| 18.3 | 100 |
| 24.3 | 34 |
| 31.6 | 60 |
| 33.3 | 86 |
| 37.5 | 33 |
| 46.5 | 66 |

```
data_Na2PtBr5
_chemical_formula_sum 'Na8 Pt4 Br20'
_space_group_name_H-M_alt 'C m c m'
_space_group_IT_number 63
_space_group_name_Hall '-C 2c 2'
_cell_length_a 5.664
_cell_length_b 13.771
_cell_length_c 12.969
_cell_angle_alpha 90.00
_cell_angle_beta 90.00
_cell_angle_gamma 90.00
loop_
_atom_site_label
_atom_site_type_symbol
_atom_site_fract_x
_atom_site_fract_y
_atom_site_fract_z
Na1 Na 0.000 0.168 0.078
Pt1 Pt 0.000 0.185 0.750
Br1 Br 0.000 0.057 0.615
Br2 Br 0.000 0.310 0.250
Br3 Br 0.000 0.313 0.612
```



2.
Diffraction record for Th2CuRuAu. The PXRD pattern is simulated, not measured: it uses a DFT-relaxed cell (GGA-PBE, Alexandria) and CuKα.
Peak positions follow from Bragg's law for the DFT cell and can differ from measured ones.

Top 10 peaks for 5 to 70 degrees two-theta, sorted by position:
| 2θ (°) | I_rel |
| --- | --- |
| 25.7 | 27 |
| 29.0 | 18 |
| 31.1 | 28 |
| 32.0 | 100 |
| 33.2 | 15 |
| 35.8 | 23 |
| 37.1 | 62 |
| 38.0 | 37 |
| 43.2 | 34 |
| 55.1 | 12 |

```
data_Th2CuRuAu
_chemical_formula_sum 'Th4 Cu2 Ru2 Au2'
_space_group_name_H-M_alt 'P 1 21/m 1'
_space_group_IT_number 11
_space_group_name_Hall '-P 2yb'
_cell_length_a 7.194
_cell_length_b 4.188
_cell_length_c 7.800
_cell_angle_alpha 90.00
_cell_angle_beta 105.37
_cell_angle_gamma 90.00
loop_
_atom_site_label
_atom_site_type_symbol
_atom_site_fract_x
_atom_site_fract_y
_atom_site_fract_z
Th1 Th 0.142 0.250 0.348
Th2 Th 0.282 0.250 0.937
Cu1 Cu 0.459 0.750 0.356
Ru1 Ru 0.141 0.750 0.098
Au1 Au 0.306 0.750 0.652
```



3.
Diffraction record for Ac2Tb5Y12. The PXRD pattern is simulated, not measured: it uses a DFT-relaxed cell (GGA-PBE, Alexandria) and CuKα.
Peak positions follow from Bragg's law for the DFT cell and can differ from measured ones.

Top 10 peaks for 5 to 70 degrees two-theta, sorted by position:
| 2θ (°) | I_rel |
| --- | --- |
| 28.5 | 29 |
| 30.4 | 67 |
| 31.1 | 100 |
| 31.6 | 33 |
| 33.6 | 60 |
| 39.5 | 17 |
| 49.3 | 15 |
| 52.8 | 34 |
| 57.6 | 35 |
| 59.0 | 18 |

```
data_Ac2Tb5Y12
_chemical_formula_sum 'Ac4 Tb10 Y24'
_space_group_name_H-M_alt 'C 1 2/m 1'
_space_group_IT_number 12
_space_group_name_Hall '-C 2y'
_cell_length_a 16.675
_cell_length_b 9.122
_cell_length_c 8.542
_cell_angle_alpha 90.00
_cell_angle_beta 91.86
_cell_angle_gamma 90.00
loop_
_atom_site_label
_atom_site_type_symbol
_atom_site_fract_x
_atom_site_fract_y
_atom_site_fract_z
Ac1 Ac 0.000 0.210 0.000
Tb1 Tb 0.000 0.000 0.500
Tb2 Tb 0.147 0.500 0.945
Tb3 Tb 0.244 0.000 0.548
Y1 Y 0.054 0.500 0.286
Y2 Y 0.110 0.293 0.610
02 9797 9355 info@australianacademyoftaichi.com.au